# Brief
Could you duplicate everything underneath without altering anything?

# File
____________
Record 1
# K5Na3Nb4W4O24

Crystalline K5Na3Nb4W4O24 at its relaxed geometry (GGA+U, the Materials Project).

a b c (Å): 11.364 11.385 8.037
angles (deg): 90.00 90.12 90.00
Space group Cm (No. 8)
Unique sites:
K1 0.000 0.000 0.000 x2
K2 0.000 0.000 0.500 x2
K3 0.249 0.249 0.500 x4
K4 0.498 0.000 0.500 x2
Na1 0.249 0.249 0.000 x4
Na2 0.498 0.000 0.000 x2
Nb1 0.249 0.000 0.249 x2
Nb2 0.250 0.000 0.752 x2
Nb3 0.499 0.249 0.248 x4
W1 0.248 0.500 0.249 x2
W2 0.249 0.500 0.752 x2
W3 0.499 0.249 0.751 x4
O1 0.000 0.249 0.501 x4
O2 0.123 0.127 0.751 x4
O3 0.124 0.126 0.248 x4
O4 0.126 0.376 0.753 x4
O5 0.127 0.378 0.247 x4
O6 0.248 0.500 0.006 x2
O7 0.248 0.500 0.493 x2
O8 0.249 0.000 0.502 x2
O9 0.250 0.000 0.999 x2
O10 0.370 0.377 0.248 x4
O11 0.371 0.375 0.753 x4
O12 0.375 0.125 0.247 x4
O13 0.376 0.126 0.755 x4
O14 0.498 0.248 0.000 x4

Values from the calculation:
Crystal system: monoclinic
Formation energy in eV/f.u.: -99.81
E_tot in eV for the cell shown: -572.2

Record 2
# K5Na3Nb7WO24

Crystalline K5Na3Nb7WO24 at its relaxed geometry (GGA+U, the Materials Project).

a b c (Å): 11.413 11.412 8.069
angles (deg): 90.00 90.00 90.00
Space group Cm (No. 8)
Unique sites:
K1 0.000 0.000 0.000 x2
K2 0.000 0.000 0.499 x2
K3 0.249 0.249 0.000 x4
K4 0.499 0.000 0.000 x2
Na1 0.249 0.249 0.499 x4
Na2 0.499 0.000 0.499 x2
Nb1 0.249 0.500 0.251 x2
Nb2 0.250 0.000 0.250 x2
Nb3 0.250 0.000 0.748 x2
Nb4 0.499 0.250 0.250 x4
Nb5 0.499 0.250 0.748 x4
W1 0.249 0.500 0.748 x2
O1 0.124 0.126 0.748 x4
O2 0.125 0.126 0.250 x4
O3 0.125 0.376 0.251 x4
O4 0.127 0.378 0.747 x4
O5 0.248 0.500 0.505 x2
O6 0.249 0.000 0.999 x2
O7 0.249 0.500 0.993 x2
O8 0.250 0.000 0.500 x2
O9 0.371 0.378 0.748 x4
O10 0.373 0.375 0.250 x4
O11 0.375 0.125 0.251 x4
O12 0.375 0.126 0.747 x4
O13 0.499 0.249 0.500 x4
O14 0.499 0.250 0.998 x4

Values from the calculation:
Crystal system: monoclinic
Formation energy in eV/f.u.: -110.12
E_tot in eV for the cell shown: -602.3

Record 3
# K4Na4NbW7O20

Crystalline K4Na4NbW7O20 at its relaxed geometry (GGA+U, the Materials Project).

a b c (Å): 11.594 11.786 17.538
angles (deg): 70.71 70.85 89.69
Space group P1 (No. 1)
Unique sites:
K1 0.000 0.000 0.000 x1
K2 0.001 0.497 0.996 x1
K3 0.115 0.591 0.766 x1
K4 0.253 0.232 0.999 x1
K5 0.257 0.733 0.997 x1
K6 0.355 0.850 0.283 x1
K7 0.359 0.359 0.279 x1
K8 0.362 0.865 0.769 x1
K9 0.504 0.498 0.994 x1
K10 0.506 0.999 0.997 x1
K11 0.602 0.580 0.283 x1
K12 0.614 0.588 0.769 x1
K13 0.753 0.731 0.998 x1
K14 0.756 0.231 0.999 x1
K15 0.851 0.355 0.280 x1
K16 0.870 0.357 0.768 x1
Na1 0.003 0.500 0.493 x1
Na2 0.009 0.017 0.487 x1
Na3 0.103 0.072 0.292 x1
Na4 0.105 0.576 0.293 x1
Na5 0.113 0.079 0.787 x1
Na6 0.241 0.728 0.491 x1
Na7 0.256 0.232 0.486 x1
Na8 0.352 0.355 0.786 x1
Na9 0.492 0.006 0.489 x1
Na10 0.501 0.506 0.490 x1
Na11 0.607 0.082 0.293 x1
Na12 0.617 0.080 0.783 x1
Na13 0.750 0.726 0.491 x1
Na14 0.762 0.222 0.490 x1
Na15 0.853 0.851 0.295 x1
Na16 0.861 0.867 0.786 x1
Nb1 0.451 0.715 0.630 x1
Nb2 0.710 0.375 0.630 x1
Nb3 0.734 0.880 0.633 x1
Nb4 0.932 0.719 0.631 x1
W1 0.041 0.789 0.391 x1
W2 0.043 0.292 0.389 x1
W3 0.054 0.295 0.884 x1
W4 0.055 0.797 0.885 x1
W5 0.180 0.900 0.631 x1
W6 0.200 0.386 0.137 x1
W7 0.204 0.888 0.139 x1
W8 0.218 0.379 0.632 x1
W9 0.290 0.539 0.396 x1
W10 0.291 0.043 0.391 x1
W11 0.305 0.547 0.881 x1
W12 0.307 0.048 0.881 x1
W13 0.458 0.189 0.144 x1
W14 0.459 0.688 0.139 x1
W15 0.460 0.207 0.633 x1
W16 0.539 0.790 0.396 x1
W17 0.542 0.284 0.397 x1
W18 0.557 0.296 0.882 x1
W19 0.558 0.796 0.881 x1
W20 0.691 0.399 0.138 x1
W21 0.707 0.892 0.149 x1
W22 0.790 0.540 0.394 x1
W23 0.794 0.036 0.394 x1
W24 0.804 0.045 0.885 x1
W25 0.808 0.548 0.880 x1
W26 0.949 0.188 0.148 x1
W27 0.956 0.698 0.146 x1
W28 0.986 0.171 0.635 x1
O1 0.102 0.222 0.164 x1
O2 0.102 0.890 0.254 x1
O3 0.106 0.392 0.253 x1
O4 0.109 0.758 0.621 x1
O5 0.112 0.725 0.160 x1
O6 0.119 0.380 0.745 x1
O7 0.119 0.898 0.749 x1
O8 0.151 0.217 0.636 x1
O9 0.156 0.908 0.409 x1
O10 0.160 0.410 0.408 x1
____________

# Completed
Record 1
# K5Na3Nb4W4O24

Crystalline K5Na3Nb4W4O24 at its relaxed geometry (GGA+U, the Materials Project).

a b c (Å): 11.364 11.385 8.037
angles (deg): 90.00 90.12 90.00
Space group Cm (No. 8)
Unique sites:
K1 0.000 0.000 0.000 x2
K2 0.000 0.000 0.500 x2
K3 0.249 0.249 0.500 x4
K4 0.498 0.000 0.500 x2
Na1 0.249 0.249 0.000 x4
Na2 0.498 0.000 0.000 x2
Nb1 0.249 0.000 0.249 x2
Nb2 0.250 0.000 0.752 x2
Nb3 0.499 0.249 0.248 x4
W1 0.248 0.500 0.249 x2
W2 0.249 0.500 0.752 x2
W3 0.499 0.249 0.751 x4
O1 0.000 0.249 0.501 x4
O2 0.123 0.127 0.751 x4
O3 0.124 0.126 0.248 x4
O4 0.126 0.376 0.753 x4
O5 0.127 0.378 0.247 x4
O6 0.248 0.500 0.006 x2
O7 0.248 0.500 0.493 x2
O8 0.249 0.000 0.502 x2
O9 0.250 0.000 0.999 x2
O10 0.370 0.377 0.248 x4
O11 0.371 0.375 0.753 x4
O12 0.375 0.125 0.247 x4
O13 0.376 0.126 0.755 x4
O14 0.498 0.248 0.000 x4

Values from the calculation:
Crystal system: monoclinic
Formation energy in eV/f.u.: -99.81
E_tot in eV for the cell shown: -572.2

Record 2
# K5Na3Nb7WO24

Crystalline K5Na3Nb7WO24 at its relaxed geometry (GGA+U, the Materials Project).

a b c (Å): 11.413 11.412 8.069
angles (deg): 90.00 90.00 90.00
Space group Cm (No. 8)
Unique sites:
K1 0.000 0.000 0.000 x2
K2 0.000 0.000 0.499 x2
K3 0.249 0.249 0.000 x4
K4 0.499 0.000 0.000 x2
Na1 0.249 0.249 0.499 x4
Na2 0.499 0.000 0.499 x2
Nb1 0.249 0.500 0.251 x2
Nb2 0.250 0.000 0.250 x2
Nb3 0.250 0.000 0.748 x2
Nb4 0.499 0.250 0.250 x4
Nb5 0.499 0.250 0.748 x4
W1 0.249 0.500 0.748 x2
O1 0.124 0.126 0.748 x4
O2 0.125 0.126 0.250 x4
O3 0.125 0.376 0.251 x4
O4 0.127 0.378 0.747 x4
O5 0.248 0.500 0.505 x2
O6 0.249 0.000 0.999 x2
O7 0.249 0.500 0.993 x2
O8 0.250 0.000 0.500 x2
O9 0.371 0.378 0.748 x4
O10 0.373 0.375 0.250 x4
O11 0.375 0.125 0.251 x4
O12 0.375 0.126 0.747 x4
O13 0.499 0.249 0.500 x4
O14 0.499 0.250 0.998 x4

Values from the calculation:
Crystal system: monoclinic
Formation energy in eV/f.u.: -110.12
E_tot in eV for the cell shown: -602.3

Record 3
# K4Na4NbW7O20

Crystalline K4Na4NbW7O20 at its relaxed geometry (GGA+U, the Materials Project).

a b c (Å): 11.594 11.786 17.538
angles (deg): 70.71 70.85 89.69
Space group P1 (No. 1)
Unique sites:
K1 0.000 0.000 0.000 x1
K2 0.001 0.497 0.996 x1
K3 0.115 0.591 0.766 x1
K4 0.253 0.232 0.999 x1
K5 0.257 0.733 0.997 x1
K6 0.355 0.850 0.283 x1
K7 0.359 0.359 0.279 x1
K8 0.362 0.865 0.769 x1
K9 0.504 0.498 0.994 x1
K10 0.506 0.999 0.997 x1
K11 0.602 0.580 0.283 x1
K12 0.614 0.588 0.769 x1
K13 0.753 0.731 0.998 x1
K14 0.756 0.231 0.999 x1
K15 0.851 0.355 0.280 x1
K16 0.870 0.357 0.768 x1
Na1 0.003 0.500 0.493 x1
Na2 0.009 0.017 0.487 x1
Na3 0.103 0.072 0.292 x1
Na4 0.105 0.576 0.293 x1
Na5 0.113 0.079 0.787 x1
Na6 0.241 0.728 0.491 x1
Na7 0.256 0.232 0.486 x1
Na8 0.352 0.355 0.786 x1
Na9 0.492 0.006 0.489 x1
Na10 0.501 0.506 0.490 x1
Na11 0.607 0.082 0.293 x1
Na12 0.617 0.080 0.783 x1
Na13 0.750 0.726 0.491 x1
Na14 0.762 0.222 0.490 x1
Na15 0.853 0.851 0.295 x1
Na16 0.861 0.867 0.786 x1
Nb1 0.451 0.715 0.630 x1
Nb2 0.710 0.375 0.630 x1
Nb3 0.734 0.880 0.633 x1
Nb4 0.932 0.719 0.631 x1
W1 0.041 0.789 0.391 x1
W2 0.043 0.292 0.389 x1
W3 0.054 0.295 0.884 x1
W4 0.055 0.797 0.885 x1
W5 0.180 0.900 0.631 x1
W6 0.200 0.386 0.137 x1
W7 0.204 0.888 0.139 x1
W8 0.218 0.379 0.632 x1
W9 0.290 0.539 0.396 x1
W10 0.291 0.043 0.391 x1
W11 0.305 0.547 0.881 x1
W12 0.307 0.048 0.881 x1
W13 0.458 0.189 0.144 x1
W14 0.459 0.688 0.139 x1
W15 0.460 0.207 0.633 x1
W16 0.539 0.790 0.396 x1
W17 0.542 0.284 0.397 x1
W18 0.557 0.296 0.882 x1
W19 0.558 0.796 0.881 x1
W20 0.691 0.399 0.138 x1
W21 0.707 0.892 0.149 x1
W22 0.790 0.540 0.394 x1
W23 0.794 0.036 0.394 x1
W24 0.804 0.045 0.885 x1
W25 0.808 0.548 0.880 x1
W26 0.949 0.188 0.148 x1
W27 0.956 0.698 0.146 x1
W28 0.986 0.171 0.635 x1
O1 0.102 0.222 0.164 x1
O2 0.102 0.890 0.254 x1
O3 0.106 0.392 0.253 x1
O4 0.109 0.758 0.621 x1
O5 0.112 0.725 0.160 x1
O6 0.119 0.380 0.745 x1
O7 0.119 0.898 0.749 x1
O8 0.151 0.217 0.636 x1
O9 0.156 0.908 0.409 x1
O10 0.160 0.410 0.408 x1